### Job
Now transcribe everything below without additions.
### Material
********
1.
77
Properties=species:S:1:pos:R:3:forces:R:3 method="wB97M-V/def2-TZVPD" lumo_energy_ev="-2.32 / -2.32" s2=3.758 charge=+1 multiplicity=4 de_lowest_kj_mol=12.31 e_homo_ev="-10.344 / -11.199" energy_ha=-3160.56911
V -0.198097 -1.142899 0.317996 0.082 0.282 -0.474
S 2.292173 -1.470382 0.705755 0.114 -0.218 0.355
O -0.291647 0.935343 0.363464 0.155 -0.027 0.163
O 1.418768 1.760320 -0.821802 0.013 -0.004 0.066
O -3.155094 3.867444 2.815551 0.041 0.100 -0.019
O -3.196593 5.986678 2.425450 0.066 -0.096 0.039
N -0.758257 -3.269181 0.499366 -0.107 -0.168 -0.062
N -2.745397 4.874374 2.263565 -0.077 -0.020 -0.103
N 0.058842 -1.365400 -2.028845 0.021 0.217 0.115
N -0.601041 -0.226737 -4.099781 0.001 0.013 0.046
N -0.602459 -1.309786 2.470479 -0.016 -0.040 0.146
N 4.609577 -0.219531 1.244975 -0.014 0.025 -0.024
N 1.655067 -1.076672 -3.870138 -0.051 0.029 0.030
N 5.187419 0.853735 1.851875 -0.018 0.002 0.020
N -0.195857 -2.617253 -4.121554 -0.014 0.035 0.019
N -2.400524 -1.013309 0.391823 -0.094 0.020 0.016
N 1.776205 1.299082 2.547799 0.030 0.008 0.101
N 3.013845 0.827614 2.132709 -0.111 -0.042 -0.072
C -1.179957 3.444693 1.034585 0.005 -0.004 -0.038
C -0.749687 -0.273843 -2.659432 -0.015 -0.110 0.011
C -1.624129 4.719601 1.311038 -0.082 0.065 0.114
C 1.490932 -1.125107 -2.429382 -0.054 -0.011 -0.076
C -0.793296 -2.718295 2.893729 -0.034 0.054 0.022
C -2.221342 -3.473379 0.300678 0.042 -0.018 0.017
C -1.003663 -1.515753 -4.657655 -0.021 -0.025 -0.011
C 0.817275 -0.001222 -4.405368 0.020 -0.022 -0.036
C 0.463180 4.397980 -0.432309 0.028 0.036 0.010
C -0.295472 -3.696764 1.838461 0.034 0.061 -0.042
C 3.284369 -0.271205 1.384481 0.003 0.016 -0.193
C -0.121942 3.281517 0.154710 0.064 -0.014 0.034
C -0.345515 -2.639684 -2.680152 0.068 -0.087 0.062
C 4.269949 2.760343 3.143006 0.015 0.012 0.007
C -0.008694 5.671894 -0.146626 -0.010 -0.002 0.002
C 1.210905 -2.344198 -4.441044 0.023 -0.014 -0.036
C -1.767070 -0.445294 2.740046 0.030 0.028 -0.056
C 0.408943 1.904255 -0.143574 -0.191 -0.108 -0.182
C 4.194509 1.495815 2.379376 0.062 0.037 -0.053
C -2.937897 -2.231592 -0.234050 0.010 0.041 0.034
C -1.064396 5.846527 0.737194 0.020 -0.035 -0.033
C -2.894792 -0.798398 1.777234 -0.016 -0.011 -0.050
H 1.054003 0.985842 1.900981 -0.013 0.042 -0.043
H 3.571305 3.488545 2.732278 -0.003 -0.008 -0.001
H -1.656989 2.595891 1.494869 0.005 -0.013 0.014
H -0.643260 -4.705216 2.082442 0.020 -0.013 0.014
H -0.257428 -3.808596 -0.196884 -0.006 -0.063 0.044
H 0.943403 0.046454 -5.487603 -0.003 0.005 0.008
H -3.651683 -0.013603 1.796113 0.001 0.008 0.034
H 1.599790 0.990544 3.497830 -0.071 -0.076 -0.040
H 5.164509 -0.864719 0.708490 0.020 -0.003 -0.004
H 1.293196 4.250209 -1.110631 -0.010 -0.003 0.001
H -1.450724 0.584511 2.578162 -0.005 -0.012 -0.011
H 0.446215 6.535829 -0.611384 0.004 -0.004 0.002
H -4.013342 -2.342166 -0.060350 -0.004 -0.003 -0.020
H 4.016592 2.601702 4.191705 -0.008 0.003 -0.004
H -0.291645 -2.910048 3.843132 0.010 -0.040 -0.007
H 1.804006 -0.188366 -1.976804 0.038 0.072 0.017
H 0.794209 -3.704521 1.816070 -0.004 0.005 0.017
H -1.856606 -2.875046 3.074767 0.002 -0.013 0.021
H -2.656400 -3.761121 1.258301 -0.004 0.001 -0.003
H -2.124850 -0.537047 3.770103 -0.001 0.000 0.008
H -2.639816 -0.203108 -0.169105 -0.009 0.003 -0.006
H 2.092118 -1.940410 -2.027591 -0.001 0.003 0.003
H 1.323908 -2.312181 -5.525186 0.000 -0.005 0.005
H 0.218096 -0.938964 2.932837 0.003 0.013 0.057
H -0.890598 -1.491149 -5.741616 0.004 0.004 0.004
H -3.393111 -1.713217 2.100924 -0.006 0.001 0.014
H -2.798208 -2.132036 -1.309011 0.006 -0.024 0.024
H -1.388707 -2.852730 -2.439535 0.028 -0.005 -0.033
H -2.397753 -4.312341 -0.374256 -0.026 0.006 -0.002
H 5.284357 3.144128 3.080527 -0.001 -0.001 0.001
H -2.055818 -1.695726 -4.423474 0.002 -0.001 0.002
H 0.283447 -3.441448 -2.279247 -0.006 0.009 -0.004
H -1.451602 6.824688 0.980456 -0.002 0.002 0.005
H -1.802808 -0.448187 -2.415116 0.009 0.036 -0.024
H 1.830175 -3.154087 -4.050268 -0.002 0.004 0.009
********
### Reply
1.
77
Properties=species:S:1:pos:R:3:forces:R:3 method="wB97M-V/def2-TZVPD" lumo_energy_ev="-2.32 / -2.32" s2=3.758 charge=+1 multiplicity=4 de_lowest_kj_mol=12.31 e_homo_ev="-10.344 / -11.199" energy_ha=-3160.56911
V -0.198097 -1.142899 0.317996 0.082 0.282 -0.474
S 2.292173 -1.470382 0.705755 0.114 -0.218 0.355
O -0.291647 0.935343 0.363464 0.155 -0.027 0.163
O 1.418768 1.760320 -0.821802 0.013 -0.004 0.066
O -3.155094 3.867444 2.815551 0.041 0.100 -0.019
O -3.196593 5.986678 2.425450 0.066 -0.096 0.039
N -0.758257 -3.269181 0.499366 -0.107 -0.168 -0.062
N -2.745397 4.874374 2.263565 -0.077 -0.020 -0.103
N 0.058842 -1.365400 -2.028845 0.021 0.217 0.115
N -0.601041 -0.226737 -4.099781 0.001 0.013 0.046
N -0.602459 -1.309786 2.470479 -0.016 -0.040 0.146
N 4.609577 -0.219531 1.244975 -0.014 0.025 -0.024
N 1.655067 -1.076672 -3.870138 -0.051 0.029 0.030
N 5.187419 0.853735 1.851875 -0.018 0.002 0.020
N -0.195857 -2.617253 -4.121554 -0.014 0.035 0.019
N -2.400524 -1.013309 0.391823 -0.094 0.020 0.016
N 1.776205 1.299082 2.547799 0.030 0.008 0.101
N 3.013845 0.827614 2.132709 -0.111 -0.042 -0.072
C -1.179957 3.444693 1.034585 0.005 -0.004 -0.038
C -0.749687 -0.273843 -2.659432 -0.015 -0.110 0.011
C -1.624129 4.719601 1.311038 -0.082 0.065 0.114
C 1.490932 -1.125107 -2.429382 -0.054 -0.011 -0.076
C -0.793296 -2.718295 2.893729 -0.034 0.054 0.022
C -2.221342 -3.473379 0.300678 0.042 -0.018 0.017
C -1.003663 -1.515753 -4.657655 -0.021 -0.025 -0.011
C 0.817275 -0.001222 -4.405368 0.020 -0.022 -0.036
C 0.463180 4.397980 -0.432309 0.028 0.036 0.010
C -0.295472 -3.696764 1.838461 0.034 0.061 -0.042
C 3.284369 -0.271205 1.384481 0.003 0.016 -0.193
C -0.121942 3.281517 0.154710 0.064 -0.014 0.034
C -0.345515 -2.639684 -2.680152 0.068 -0.087 0.062
C 4.269949 2.760343 3.143006 0.015 0.012 0.007
C -0.008694 5.671894 -0.146626 -0.010 -0.002 0.002
C 1.210905 -2.344198 -4.441044 0.023 -0.014 -0.036
C -1.767070 -0.445294 2.740046 0.030 0.028 -0.056
C 0.408943 1.904255 -0.143574 -0.191 -0.108 -0.182
C 4.194509 1.495815 2.379376 0.062 0.037 -0.053
C -2.937897 -2.231592 -0.234050 0.010 0.041 0.034
C -1.064396 5.846527 0.737194 0.020 -0.035 -0.033
C -2.894792 -0.798398 1.777234 -0.016 -0.011 -0.050
H 1.054003 0.985842 1.900981 -0.013 0.042 -0.043
H 3.571305 3.488545 2.732278 -0.003 -0.008 -0.001
H -1.656989 2.595891 1.494869 0.005 -0.013 0.014
H -0.643260 -4.705216 2.082442 0.020 -0.013 0.014
H -0.257428 -3.808596 -0.196884 -0.006 -0.063 0.044
H 0.943403 0.046454 -5.487603 -0.003 0.005 0.008
H -3.651683 -0.013603 1.796113 0.001 0.008 0.034
H 1.599790 0.990544 3.497830 -0.071 -0.076 -0.040
H 5.164509 -0.864719 0.708490 0.020 -0.003 -0.004
H 1.293196 4.250209 -1.110631 -0.010 -0.003 0.001
H -1.450724 0.584511 2.578162 -0.005 -0.012 -0.011
H 0.446215 6.535829 -0.611384 0.004 -0.004 0.002
H -4.013342 -2.342166 -0.060350 -0.004 -0.003 -0.020
H 4.016592 2.601702 4.191705 -0.008 0.003 -0.004
H -0.291645 -2.910048 3.843132 0.010 -0.040 -0.007
H 1.804006 -0.188366 -1.976804 0.038 0.072 0.017
H 0.794209 -3.704521 1.816070 -0.004 0.005 0.017
H -1.856606 -2.875046 3.074767 0.002 -0.013 0.021
H -2.656400 -3.761121 1.258301 -0.004 0.001 -0.003
H -2.124850 -0.537047 3.770103 -0.001 0.000 0.008
H -2.639816 -0.203108 -0.169105 -0.009 0.003 -0.006
H 2.092118 -1.940410 -2.027591 -0.001 0.003 0.003
H 1.323908 -2.312181 -5.525186 0.000 -0.005 0.005
H 0.218096 -0.938964 2.932837 0.003 0.013 0.057
H -0.890598 -1.491149 -5.741616 0.004 0.004 0.004
H -3.393111 -1.713217 2.100924 -0.006 0.001 0.014
H -2.798208 -2.132036 -1.309011 0.006 -0.024 0.024
H -1.388707 -2.852730 -2.439535 0.028 -0.005 -0.033
H -2.397753 -4.312341 -0.374256 -0.026 0.006 -0.002
H 5.284357 3.144128 3.080527 -0.001 -0.001 0.001
H -2.055818 -1.695726 -4.423474 0.002 -0.001 0.002
H 0.283447 -3.441448 -2.279247 -0.006 0.009 -0.004
H -1.451602 6.824688 0.980456 -0.002 0.002 0.005
H -1.802808 -0.448187 -2.415116 0.009 0.036 -0.024
H 1.830175 -3.154087 -4.050268 -0.002 0.004 0.009